Listing:
~~~
Computed, not measured: a single C10H9NO2S molecule at a distorted geometry, with the ωB97M-V functional and the def2-TZVPD basis.

Calculated values
HOMO-LUMO gap: 9.12 eV
HOMO level: -8.60 eV
E_LUMO: 0.52 eV
E_tot: -26935.1282 eV
ΔE to the lowest compared entry with this formula, charge and spin: 0.824 eV
strongest force on any atom: 4.20 eV Å⁻¹
SMILES: O=C1Nc2ccccc2[C@]12OCCS2

Element x y z (Å)
O (0.3499, -0.3627, -3.0612)
C (-0.0123, -0.4601, -1.9072)
N (-1.2548, -0.8494, -1.6311)
C (-1.6294, -0.7510, -0.2701)
C (-2.8505, -0.8632, 0.4328)
C (-2.9702, -0.6053, 1.8301)
C (-1.7330, -0.2718, 2.5480)
C (-0.4933, -0.2755, 1.8637)
C (-0.4835, -0.3671, 0.4221)
C (0.6928, -0.1642, -0.5906)
O (0.8915, 1.2997, -0.5721)
C (2.2558, 1.7428, -0.6954)
C (3.2387, 0.5656, -0.6829)
S (2.3112, -0.8655, -0.1794)
H (-1.9321, -1.1354, -2.3739)
H (-3.7393, -1.2509, -0.0257)
H (-3.9884, -0.8239, 2.1657)
H (-1.6609, -0.1492, 3.5890)
H (0.5570, -0.1721, 2.2204)
H (2.2941, 2.2074, -1.6093)
H (2.4725, 2.4602, 0.1516)
H (3.6761, 0.3146, -1.6635)
H (4.0081, 0.7768, 0.0391)

Cartesian forces, eV/Å:
O 1.1 0.2 0.4
C 0.6 -0.4 -1.9
N -4.0 -1.3 0.1
C 0.7 0.9 1.1
C 0.4 -0.1 0.6
C 2.9 -0.1 -1.5
C -0.5 -1.1 -2.2
C 0.0 0.5 -2.8
C 0.2 -1.0 1.7
C -0.5 2.5 1.8
O 0.3 -1.0 0.2
C -0.5 -0.8 2.2
C -0.2 0.1 -0.8
S -0.8 -1.0 0.5
H 1.2 0.6 0.9
H -0.2 0.1 -0.5
H 0.7 0.5 0.8
H -0.4 0.1 1.2
H -1.3 0.2 0.7
H 0.4 1.5 -2.1
H -0.3 -0.8 -0.9
H -0.1 0.6 0.4
H 0.4 -0.2 0.2

* * * * *

(i)
A cluster of 2 separate species, C3H10NO in total. Source: OMol25; level of theory: the ωB97M-V functional and the def2-TZVPD basis.

```
! RIJCOSX wB97M-V def2-TZVPD def2/J DEFGRID3
* xyz -1 1
C -0.8247 -0.7387 2.3250
O 0.0179 0.1986 1.8145
H -0.9842 -1.6089 1.6391
H -1.8300 -0.3213 2.5534
H -0.4261 -1.2216 3.2356
C -0.6455 0.0359 -1.6485
N 0.4289 -0.2570 -0.7321
C 1.5202 0.6817 -0.9038
H -0.3883 -0.2183 -2.6785
H -0.9035 1.1154 -1.6970
H -1.5251 -0.5633 -1.3946
H 0.1138 -0.0113 0.2807
H 2.1495 0.4796 -1.7739
H 1.1692 1.7367 -1.0158
H 2.1279 0.6926 -0.0040
*
```

## Properties
**Molecular weight**: 76.12 g mol⁻¹
**Highest occupied orbital energy**: -2.61 eV
**E_LUMO**: 4.44 eV

These are the natural (NBO) partial charges, in e, on atoms 1 to 4: -0.20 -0.96 0.09 0.09

=====

(ii)
A cluster of 2 separate species, C3H10NO in total. Source: OMol25; level of theory: the ωB97M-V functional and the def2-TZVPD basis.

```
! RIJCOSX wB97M-V def2-TZVPD def2/J DEFGRID3
* xyz -1 1
N 1.0184 2.1740 1.2528
C -0.1604 1.4649 0.6497
O -0.3407 0.2081 1.0479
H 1.7768 1.4978 1.2106
H 0.8318 2.2837 2.2461
H -1.0232 2.1469 0.8603
H 0.0349 1.5700 -0.4527
C -0.5916 -1.3361 -1.8911
C 0.0572 -2.2481 -0.8480
H -1.6711 -1.2767 -1.7322
H -0.4169 -1.6798 -2.9150
H -0.2345 -0.3140 -1.7671
H -0.3677 -3.2526 -0.9496
H 1.1390 -2.2736 -0.9864
H -0.1544 -1.8328 0.1370
*
```

## Properties
**Molecular weight**: 76.12 g mol⁻¹
**Highest occupied orbital energy**: -2.47 eV
**E_LUMO**: 4.34 eV

These are the natural (NBO) partial charges, in e, on atoms 1 to 4: -0.91 0.14 -0.96 0.33

=====

Of them, (i) has the lowest stability.

=====

(i)
An isolated molecule of C3H5F2N. Source: OMol25; level of theory: the ωB97M-V functional and the def2-TZVPD basis.

```
! RIJCOSX wB97M-V def2-TZVPD def2/J DEFGRID3
* xyz 0 1
N -0.4701 -1.0869 -0.9922
C -0.5377 0.1169 -0.1958
C 0.1473 -0.0363 1.1751
C 0.7320 0.7507 0.0806
F 1.8922 0.3050 -0.5156
F 0.8089 2.0807 0.1566
H -0.2202 -0.8242 -1.9952
H -1.4030 -1.4791 -1.0645
H -1.4123 0.7719 -0.1089
H -0.1675 0.3914 2.1157
H 0.6305 -0.9901 1.3442
*
```

## Properties
**Molecular weight**: 93.08 g mol⁻¹
**Highest occupied orbital energy**: -9.94 eV
**E_LUMO**: 0.93 eV
**SMILES string**: N[C@H]1CC1(F)F

These are the natural (NBO) partial charges, in e, on atoms 1 to 4: -0.81 -0.13 -0.50 0.67
~~~
Activity:
What is needed: duplicate only the lines further above with the word "them" in them.
Solution:
Of them, (i) has the lowest stability.